Work order:
Could you reproduce the lines further down character by character?

Data:
No. 1
DFT (ωB97M-V with the def2-TZVPD basis set) results for C40H57N4O6PPd as an isolated structure.

Each line ends with the Löwdin charge.
Cartesian coordinates (Å):
Pd  0.085277  -0.183813  0.040331  0.312
C  1.987577  3.412087  1.281231  -0.040
C  1.952677  2.807887  -0.126869  -0.372
C  1.523877  3.864587  -1.142569  -0.084
C  3.290877  2.182287  -0.434469  -0.147
C  4.266977  2.793287  -1.194769  -0.069
C  5.490277  2.177987  -1.417269  -0.120
C  5.723077  0.922987  -0.884269  -0.073
C  4.774577  0.276587  -0.113969  -0.151
C  5.051577  -1.094713  0.459031  -0.365
C  5.228877  -2.160113  -0.626469  -0.062
C  6.263477  -1.026613  1.387431  -0.073
C  3.544977  0.919987  0.151331  -0.214
N  2.560077  0.322587  0.886531  0.080
C  2.702577  0.159987  2.183031  -0.529
O  3.640077  0.596187  2.889731  -0.041
C  1.592077  -0.596013  2.859631  -0.181
C  1.687177  -0.723913  4.244031  -0.025
C  0.718677  -1.429113  4.929231  -0.080
C  -0.295823  -2.003613  4.189631  -0.022
C  -0.322323  -1.830713  2.804831  -0.176
N  0.603177  -1.132513  2.151531  0.129
C  -1.432423  -2.508113  2.041031  -0.531
O  -2.102923  -3.390013  2.626431  -0.042
N  -1.614423  -2.044313  0.826331  0.078
C  -2.509523  -2.621713  -0.030069  -0.177
C  -3.712923  -1.971713  -0.386269  -0.145
C  -4.572923  -2.557213  -1.295569  -0.076
C  -4.296123  -3.782413  -1.874169  -0.122
C  -3.118123  -4.424713  -1.531969  -0.072
C  -2.232823  -3.878113  -0.623469  -0.138
C  -0.994623  -4.642113  -0.210469  -0.361
C  -0.092223  -5.031613  -1.381769  -0.067
C  -1.414823  -5.875913  0.593431  -0.072
C  -4.047823  -0.580513  0.101631  -0.354
C  -3.181923  0.374587  -0.719869  -0.083
C  -3.822423  -0.351913  1.597331  -0.061
H  1.009977  3.807687  1.558931  0.059
H  2.723277  4.218387  1.338131  0.079
H  2.262277  2.639687  1.992031  0.067
H  1.212677  1.970387  -0.125069  0.085
H  2.178377  4.737587  -1.103269  0.066
H  0.511377  4.200587  -0.925369  0.040
H  1.551777  3.465687  -2.155169  0.073
H  4.099577  3.775087  -1.619969  0.092
H  6.265177  2.688287  -1.981569  0.080
H  6.675277  0.445787  -1.084369  0.097
H  4.185677  -1.384313  1.059231  0.125
H  5.973177  -1.862613  -1.364369  0.068
H  4.282777  -2.323013  -1.134569  0.061
H  5.539677  -3.106413  -0.181169  0.067
H  7.153177  -0.700913  0.849631  0.061
H  6.471377  -1.996813  1.839331  0.067
H  6.050577  -0.310413  2.176431  0.071
H  2.532577  -0.263313  4.733231  0.099
H  0.763977  -1.535413  6.009631  0.091
H  -1.075323  -2.596013  4.644731  0.100
H  -5.489523  -2.035513  -1.556169  0.095
H  -4.992123  -4.227413  -2.577669  0.077
H  -2.895823  -5.384313  -1.985069  0.097
H  -0.407423  -3.990113  0.443131  0.126
H  -0.602223  -5.696413  -2.080669  0.064
H  0.795977  -5.545913  -1.008469  0.069
H  0.221577  -4.132013  -1.902069  0.054
H  -2.059623  -6.522313  -0.005869  0.064
H  -1.959323  -5.541913  1.474331  0.063
H  -0.542923  -6.452713  0.909931  0.066
H  -5.112623  -0.390113  -0.121469  0.120
H  -2.128823  0.172087  -0.459169  0.015
H  -3.425723  1.419187  -0.521169  0.043
H  -3.323423  0.183487  -1.783069  0.079
H  -2.761123  -0.193213  1.776231  0.053
H  -4.136223  -1.219413  2.175631  0.080
H  -4.380823  0.526587  1.938131  0.062
C  -0.610223  -2.323613  -4.029969  -0.146
O  -0.500623  -2.008913  -2.659269  -0.346
P  -0.024623  -0.536813  -2.190969  0.744
O  1.321377  -0.322013  -3.143969  -0.348
C  2.589977  -0.452213  -2.543369  -0.162
O  -1.023023  0.264787  -3.259469  -0.358
C  -0.956023  1.655187  -3.377769  -0.174
H  0.177877  -1.822313  -4.599469  0.073
H  -1.580923  -2.009513  -4.417769  0.078
H  -0.516923  -3.406613  -4.135469  0.075
H  3.166277  0.454387  -2.739769  0.080
H  3.113277  -1.312713  -2.972569  0.076
H  2.478077  -0.580713  -1.462569  0.036
H  -1.976623  2.052987  -3.380269  0.076
H  -0.460023  1.928787  -4.316969  0.081
H  -0.393923  2.099987  -2.551869  0.040
O  -1.119523  1.638287  1.388431  0.030
C  -1.649623  2.710887  1.241231  -0.505
C  -2.272223  3.468887  2.413131  -0.084

Completed:
No. 1
DFT (ωB97M-V with the def2-TZVPD basis set) results for C40H57N4O6PPd as an isolated structure.

Each line ends with the Löwdin charge.
Cartesian coordinates (Å):
Pd  0.085277  -0.183813  0.040331  0.312
C  1.987577  3.412087  1.281231  -0.040
C  1.952677  2.807887  -0.126869  -0.372
C  1.523877  3.864587  -1.142569  -0.084
C  3.290877  2.182287  -0.434469  -0.147
C  4.266977  2.793287  -1.194769  -0.069
C  5.490277  2.177987  -1.417269  -0.120
C  5.723077  0.922987  -0.884269  -0.073
C  4.774577  0.276587  -0.113969  -0.151
C  5.051577  -1.094713  0.459031  -0.365
C  5.228877  -2.160113  -0.626469  -0.062
C  6.263477  -1.026613  1.387431  -0.073
C  3.544977  0.919987  0.151331  -0.214
N  2.560077  0.322587  0.886531  0.080
C  2.702577  0.159987  2.183031  -0.529
O  3.640077  0.596187  2.889731  -0.041
C  1.592077  -0.596013  2.859631  -0.181
C  1.687177  -0.723913  4.244031  -0.025
C  0.718677  -1.429113  4.929231  -0.080
C  -0.295823  -2.003613  4.189631  -0.022
C  -0.322323  -1.830713  2.804831  -0.176
N  0.603177  -1.132513  2.151531  0.129
C  -1.432423  -2.508113  2.041031  -0.531
O  -2.102923  -3.390013  2.626431  -0.042
N  -1.614423  -2.044313  0.826331  0.078
C  -2.509523  -2.621713  -0.030069  -0.177
C  -3.712923  -1.971713  -0.386269  -0.145
C  -4.572923  -2.557213  -1.295569  -0.076
C  -4.296123  -3.782413  -1.874169  -0.122
C  -3.118123  -4.424713  -1.531969  -0.072
C  -2.232823  -3.878113  -0.623469  -0.138
C  -0.994623  -4.642113  -0.210469  -0.361
C  -0.092223  -5.031613  -1.381769  -0.067
C  -1.414823  -5.875913  0.593431  -0.072
C  -4.047823  -0.580513  0.101631  -0.354
C  -3.181923  0.374587  -0.719869  -0.083
C  -3.822423  -0.351913  1.597331  -0.061
H  1.009977  3.807687  1.558931  0.059
H  2.723277  4.218387  1.338131  0.079
H  2.262277  2.639687  1.992031  0.067
H  1.212677  1.970387  -0.125069  0.085
H  2.178377  4.737587  -1.103269  0.066
H  0.511377  4.200587  -0.925369  0.040
H  1.551777  3.465687  -2.155169  0.073
H  4.099577  3.775087  -1.619969  0.092
H  6.265177  2.688287  -1.981569  0.080
H  6.675277  0.445787  -1.084369  0.097
H  4.185677  -1.384313  1.059231  0.125
H  5.973177  -1.862613  -1.364369  0.068
H  4.282777  -2.323013  -1.134569  0.061
H  5.539677  -3.106413  -0.181169  0.067
H  7.153177  -0.700913  0.849631  0.061
H  6.471377  -1.996813  1.839331  0.067
H  6.050577  -0.310413  2.176431  0.071
H  2.532577  -0.263313  4.733231  0.099
H  0.763977  -1.535413  6.009631  0.091
H  -1.075323  -2.596013  4.644731  0.100
H  -5.489523  -2.035513  -1.556169  0.095
H  -4.992123  -4.227413  -2.577669  0.077
H  -2.895823  -5.384313  -1.985069  0.097
H  -0.407423  -3.990113  0.443131  0.126
H  -0.602223  -5.696413  -2.080669  0.064
H  0.795977  -5.545913  -1.008469  0.069
H  0.221577  -4.132013  -1.902069  0.054
H  -2.059623  -6.522313  -0.005869  0.064
H  -1.959323  -5.541913  1.474331  0.063
H  -0.542923  -6.452713  0.909931  0.066
H  -5.112623  -0.390113  -0.121469  0.120
H  -2.128823  0.172087  -0.459169  0.015
H  -3.425723  1.419187  -0.521169  0.043
H  -3.323423  0.183487  -1.783069  0.079
H  -2.761123  -0.193213  1.776231  0.053
H  -4.136223  -1.219413  2.175631  0.080
H  -4.380823  0.526587  1.938131  0.062
C  -0.610223  -2.323613  -4.029969  -0.146
O  -0.500623  -2.008913  -2.659269  -0.346
P  -0.024623  -0.536813  -2.190969  0.744
O  1.321377  -0.322013  -3.143969  -0.348
C  2.589977  -0.452213  -2.543369  -0.162
O  -1.023023  0.264787  -3.259469  -0.358
C  -0.956023  1.655187  -3.377769  -0.174
H  0.177877  -1.822313  -4.599469  0.073
H  -1.580923  -2.009513  -4.417769  0.078
H  -0.516923  -3.406613  -4.135469  0.075
H  3.166277  0.454387  -2.739769  0.080
H  3.113277  -1.312713  -2.972569  0.076
H  2.478077  -0.580713  -1.462569  0.036
H  -1.976623  2.052987  -3.380269  0.076
H  -0.460023  1.928787  -4.316969  0.081
H  -0.393923  2.099987  -2.551869  0.040
O  -1.119523  1.638287  1.388431  0.030
C  -1.649623  2.710887  1.241231  -0.505
C  -2.272223  3.468887  2.413131  -0.084